Given.
Entry 1:
8
Properties=species:S:1:pos:R:3:forces:R:3 method="wB97M-V/def2-TZVPD" e_lumo_ev=4.028 homo_ev=-4.5 charge=-1 relative_energy_kj_mol=118.8 max_force_ev_per_a=4.5
S 1.965 0.109 0.125 3.073 1.448 -2.943
O 2.656 0.807 1.209 -1.130 -0.411 -0.806
O 2.082 -1.468 0.382 -0.247 -1.255 -0.084
O 2.584 0.389 -1.258 -1.875 -0.391 3.571
O 0.051 -2.587 -0.274 0.637 -0.942 0.207
C 0.643 -1.592 0.034 -0.684 0.248 0.031
C 0.288 -0.251 0.135 -1.255 1.979 -1.386
H -0.490 0.222 -0.569 1.481 -0.675 1.409


Entry 2:
37
Properties=species:S:1:pos:R:3:forces:R:3 method="wB97M-V/def2-TZVPD" e_lumo_ev=-5.031 homo_ev=-12.5 charge=+1 relative_energy_kj_mol=22.0 max_force_ev_per_a=3.6
O 2.142 0.325 2.175 -1.098 -1.107 -1.719
C 1.292 -0.559 1.664 0.309 0.116 3.561
C -0.496 1.088 2.214 0.524 -0.297 -0.104
C -0.155 -0.786 -2.578 -0.672 -0.047 0.077
C 0.399 -3.735 -2.473 -0.146 0.074 0.223
C -0.591 -3.170 -3.489 0.085 0.023 -0.221
C -2.745 0.304 2.584 0.179 -0.410 -0.187
C 3.501 -0.043 2.456 0.463 -0.064 -0.072
C 1.368 -0.674 -0.563 -0.340 0.423 -0.908
C -0.981 -1.301 2.176 -0.044 0.094 -0.213
C -1.822 1.351 2.486 -0.182 0.212 -0.006
C -0.087 -0.243 1.999 -0.230 0.201 -0.356
C 1.444 -2.699 -2.011 0.622 -0.235 -0.242
C 0.865 -1.364 -1.632 0.415 -0.090 0.034
C -1.182 -1.804 -3.132 -0.152 0.035 0.218
C -2.313 -1.028 2.471 -0.029 0.224 0.020
H -0.696 0.038 -2.092 0.182 -0.077 -0.057
H 2.419 -0.855 -0.308 -0.433 -0.035 0.119
H 2.187 -2.564 -2.821 -0.323 0.112 0.160
H -0.594 -2.317 2.093 -0.355 0.121 -0.095
H 3.929 -0.655 1.652 -0.130 0.154 0.179
H 0.362 -0.320 -3.443 0.179 -0.320 0.522
H 4.020 0.910 2.540 0.129 -0.220 -0.027
H 1.590 -1.612 1.625 0.067 0.444 -0.080
H -1.990 -1.916 -2.397 0.191 -0.084 -0.030
H 0.911 -4.600 -2.914 -0.031 0.237 0.167
H 3.532 -0.572 3.416 -0.046 0.078 -0.265
H -1.658 -1.389 -4.031 0.128 -0.001 0.282
H -0.092 -3.094 -4.460 0.031 0.014 0.053
H -3.806 0.520 2.726 0.394 -0.080 0.088
H -3.017 -1.848 2.591 0.112 0.189 0.013
H 0.265 1.872 2.183 -0.470 -0.132 -0.135
H -0.126 -4.119 -1.589 -0.041 0.135 -0.108
H -2.141 2.386 2.601 -0.002 -0.289 0.042
H 2.005 -3.112 -1.162 -0.057 0.147 -0.186
H 0.841 0.233 -0.272 0.683 0.391 -0.701
H -1.409 -3.884 -3.624 0.090 0.064 -0.049


Entry 3:
105
Properties=species:S:1:pos:R:3:forces:R:3 method="wB97M-V/def2-TZVPD" e_lumo_ev=3.651 homo_ev=0.3 charge=-2 max_force_ev_per_a=1.3
I -1.896 -0.538 2.903 -0.111 0.048 -0.130
K 0.126 -0.370 -0.159 -0.430 -0.548 0.348
S 1.180 2.512 -4.511 -0.005 0.068 -0.116
S -0.518 -3.198 -1.348 -0.290 0.126 0.168
O 4.442 1.338 4.027 0.025 -0.066 -0.058
O 2.257 0.688 -0.392 1.196 0.370 -0.335
N -1.562 1.819 -0.343 0.027 -0.055 -0.025
N 5.836 -0.077 -0.240 -0.050 0.070 0.300
N -2.496 -0.830 -0.634 -0.445 -0.234 -0.476
N -3.020 -2.064 -0.841 0.384 -0.026 0.029
N 1.248 -0.953 2.248 0.427 0.291 0.285
N -2.845 -4.291 -0.774 0.037 -0.122 -0.088
N 0.914 2.395 2.558 0.083 0.152 -0.088
N 0.540 0.726 -2.755 -0.142 -0.194 -0.259
C -2.556 -2.644 -6.996 -0.048 -0.057 -0.057
C -1.210 3.043 0.037 -0.026 -0.091 0.028
C 4.396 0.272 -2.156 0.024 -0.039 0.004
C -1.238 -1.179 -5.401 0.016 0.023 0.019
C -3.253 0.161 -0.973 0.092 0.213 0.149
C -1.123 -3.229 3.955 0.029 0.031 -0.023
C -0.302 -4.273 4.372 0.055 0.049 -0.019
C -5.570 -0.812 -1.367 -0.005 0.011 -0.018
C 0.224 1.174 -5.043 -0.072 -0.032 -0.221
C 0.530 2.429 6.025 0.044 -0.010 -0.021
C -5.845 0.742 -3.652 0.033 -0.036 0.014
C -0.289 0.882 -6.302 0.053 0.018 0.100
C -1.010 -0.289 -6.463 -0.026 -0.062 -0.033
C -6.873 -0.111 -3.273 0.016 -0.001 0.014
C 2.622 -0.701 2.440 -0.367 0.013 -0.049
C -4.530 0.037 -1.741 0.020 0.033 0.071
C 1.828 2.606 -1.793 -0.334 -0.212 -0.441
C -1.968 -2.511 -5.592 0.039 0.088 0.012
C -2.850 1.546 -0.564 -0.037 -0.255 -0.109
C 3.557 -0.211 1.590 0.266 0.152 -0.307
C 3.090 4.193 0.126 -0.008 0.125 0.010
C 2.557 4.792 -1.019 0.033 -0.106 0.056
C 1.939 3.995 -1.956 0.003 0.113 -0.014
C 5.222 0.256 3.483 0.023 0.064 -0.001
C -0.009 0.310 -3.970 0.145 0.128 0.405
C -3.459 3.797 0.008 -0.048 0.004 -0.008

Brief.
What is needed: say how many lines of the rows earlier on hold the word "wB97M-V", as a bare number.

Solution.
3